• Activity:
Type out everything further below without altering anything.
• Listing:
VASP calculation (SCAN) on NaC2IN at its PBEsol-relaxed geometry.

a = 4.1682 Å, b = 4.1682 Å, c = 6.4127 Å
α = 90.00°, β = 90.00°, γ = 90.00°
Positions (direct):
I 0.0000 0.0000 0.0000
Na 0.0000 0.0000 0.5000
C 0.0000 0.5000 0.0000
C 0.5000 0.0000 0.0000
N 0.5000 0.5000 0.5000

Formation energy (no corrections) = 3.117 eV per atom


LaTc3O12: optimized geometry, GGA-PBE.

Cell: 9.0310 9.0310 10.6379 Å, 64.88 64.88 60.00°
Closest atoms and distances in Å follow each position.
Fractional positions:
O (0.2638, 0.5941, 0.5324)  1 Tc 1.75
O (0.7638, 0.1096, 0.0324)  1 Tc 1.75
O (0.8893, 0.3495, 0.3449)  1 Tc 1.75
O (0.9844, 0.5934, 0.4728)  1 Tc 1.71
O (0.8932, 0.1890, 0.6439)  1 Tc 1.76
O (0.4494, 0.0934, 0.9728)  1 Tc 1.71
O (0.6096, 0.2638, 0.5324)  1 Tc 1.75
O (0.0934, 0.4844, 0.9728)  1 Tc 1.71
O (0.5941, 0.6096, 0.5324)  1 Tc 1.75
O (0.9163, 0.8495, 0.8449)  1 Tc 1.75
O (0.3893, 0.9163, 0.8449)  1 Tc 1.75
O (0.4163, 0.8893, 0.3449)  1 Tc 1.75
O (0.0941, 0.7638, 0.0324)  1 Tc 1.75
O (0.1096, 0.0941, 0.0324)  1 Tc 1.75
O (0.3932, 0.7739, 0.1439)  1 Tc 1.76
O (0.3495, 0.4163, 0.3449)  1 Tc 1.75
O (0.1890, 0.2739, 0.6439)  1 Tc 1.76
O (0.6890, 0.3932, 0.1439)  1 Tc 1.76
O (0.2739, 0.8932, 0.6439)  1 Tc 1.76
O (0.7739, 0.6890, 0.1439)  1 Tc 1.76
O (0.4844, 0.4494, 0.9728)  1 Tc 1.71
O (0.9494, 0.9844, 0.4728)  1 Tc 1.71
O (0.8495, 0.3893, 0.8449)  1 Tc 1.75
O (0.5934, 0.9494, 0.4728)  1 Tc 1.71
Tc (0.1897, 0.4687, 0.5027)  4 O 1.71-1.76
Tc (0.3390, 0.9687, 0.0027)  4 O 1.71-1.76
Tc (0.9687, 0.6897, 0.0027)  4 O 1.71-1.76
Tc (0.4687, 0.8390, 0.5027)  4 O 1.71-1.76
Tc (0.8390, 0.1897, 0.5027)  4 O 1.71-1.76
Tc (0.6897, 0.3390, 0.0027)  4 O 1.71-1.76
La (0.0593, 0.0593, 0.8220)  9 O 2.45-2.67
La (0.5593, 0.5593, 0.3220)  9 O 2.45-2.67

Computed properties:
**Uncorrected formation energy**: -1.72 eV per atom
**Space group**: No. 161
**Energy**: -7.6930 eV per atom

***

Pm2ErHfN4: optimized geometry, GGA-PBE.

Cell: 3.4296 5.9523 6.0192 Å, 109.04 90.00 90.00°
• Response:
VASP calculation (SCAN) on NaC2IN at its PBEsol-relaxed geometry.

a = 4.1682 Å, b = 4.1682 Å, c = 6.4127 Å
α = 90.00°, β = 90.00°, γ = 90.00°
Positions (direct):
I 0.0000 0.0000 0.0000
Na 0.0000 0.0000 0.5000
C 0.0000 0.5000 0.0000
C 0.5000 0.0000 0.0000
N 0.5000 0.5000 0.5000

Formation energy (no corrections) = 3.117 eV per atom


LaTc3O12: optimized geometry, GGA-PBE.

Cell: 9.0310 9.0310 10.6379 Å, 64.88 64.88 60.00°
Closest atoms and distances in Å follow each position.
Fractional positions:
O (0.2638, 0.5941, 0.5324)  1 Tc 1.75
O (0.7638, 0.1096, 0.0324)  1 Tc 1.75
O (0.8893, 0.3495, 0.3449)  1 Tc 1.75
O (0.9844, 0.5934, 0.4728)  1 Tc 1.71
O (0.8932, 0.1890, 0.6439)  1 Tc 1.76
O (0.4494, 0.0934, 0.9728)  1 Tc 1.71
O (0.6096, 0.2638, 0.5324)  1 Tc 1.75
O (0.0934, 0.4844, 0.9728)  1 Tc 1.71
O (0.5941, 0.6096, 0.5324)  1 Tc 1.75
O (0.9163, 0.8495, 0.8449)  1 Tc 1.75
O (0.3893, 0.9163, 0.8449)  1 Tc 1.75
O (0.4163, 0.8893, 0.3449)  1 Tc 1.75
O (0.0941, 0.7638, 0.0324)  1 Tc 1.75
O (0.1096, 0.0941, 0.0324)  1 Tc 1.75
O (0.3932, 0.7739, 0.1439)  1 Tc 1.76
O (0.3495, 0.4163, 0.3449)  1 Tc 1.75
O (0.1890, 0.2739, 0.6439)  1 Tc 1.76
O (0.6890, 0.3932, 0.1439)  1 Tc 1.76
O (0.2739, 0.8932, 0.6439)  1 Tc 1.76
O (0.7739, 0.6890, 0.1439)  1 Tc 1.76
O (0.4844, 0.4494, 0.9728)  1 Tc 1.71
O (0.9494, 0.9844, 0.4728)  1 Tc 1.71
O (0.8495, 0.3893, 0.8449)  1 Tc 1.75
O (0.5934, 0.9494, 0.4728)  1 Tc 1.71
Tc (0.1897, 0.4687, 0.5027)  4 O 1.71-1.76
Tc (0.3390, 0.9687, 0.0027)  4 O 1.71-1.76
Tc (0.9687, 0.6897, 0.0027)  4 O 1.71-1.76
Tc (0.4687, 0.8390, 0.5027)  4 O 1.71-1.76
Tc (0.8390, 0.1897, 0.5027)  4 O 1.71-1.76
Tc (0.6897, 0.3390, 0.0027)  4 O 1.71-1.76
La (0.0593, 0.0593, 0.8220)  9 O 2.45-2.67
La (0.5593, 0.5593, 0.3220)  9 O 2.45-2.67

Computed properties:
**Uncorrected formation energy**: -1.72 eV per atom
**Space group**: No. 161
**Energy**: -7.6930 eV per atom

***

Pm2ErHfN4: optimized geometry, GGA-PBE.

Cell: 3.4296 5.9523 6.0192 Å, 109.04 90.00 90.00°